Brandon and Brittney Sittin’ in a Tree

be assured of future happinessQ Dear Miss Abigail:

Will Brandon Boston and Brittney Chisolm get married and live happily ever after?


A Dear Brittney:


Oh wait, I changed my mind. No!

Ah, shucks, I don’t know.

Maybe you can decide for yourself, with a little help from Sex Behavior in Marriage, published by Charles A. Clinton in 1940. He’s an M.D., so we can trust him.

1940: Things to Know About One’s Sweetheart

Most young couples contemplating marriage have been acquainted with each other for some little time, though of course this is not always the case. But being acquainted with each other does not necessarily, and in fact does not usually mean, that they actually ‘know’ much about each other. The young man calls upon his sweetheart and is entertained by her in her home. He in turn entertains her by taking her out to dinner, to the theatre, to dances or to other social functions. Both are naturally on their good behavior ~ they put their best foot forward ~ they want to impress each other. They are particularly careful of their personal appearance, of their dress, of their manners. So it is frequently very hard to form any opinion of their real nature, tastes or character in all of this association. If they are thrown together a good deal in a perfectly informal way of course somewhat more can be learned. But in choosing a mate we have to go much deeper into the subject. One must, in order to be assured of future happiness, be sure that one’s life partner is entirely suitable in every way ~ physically, mentally, and morally; that his or her traits or characteristics will fit in with those of the one whom he or she is to marry. And there are many things to consider.

In the first place there is the question of physical fitness. This is of paramount importance and it means not only the present physical condition of the person but also his or her previous state of health. And of equal importance is the family history as regards disease. Is there any existing hereditary taint such as insanity or epilepsy? Even though there may be it does not mean that the person in question must necessarily become afflicted, but it so often happens that this is a matter which must be seriously considered. . . .

Crystal structures from another source follow:
+++
# 1
# NdEr6Th4
Calculated X-ray powder pattern, Cu Kα (λ = 1.5418 Å). Input: a cell relaxed with PBE.
Intensities are scaled so that the largest is 100.

Structural model:
Lattice parameters (Å, degrees): 18.151 18.151 18.151 169.19 161.47 21.50
Fractional positions:
Nd 0.000 0.000 0.000
Er 0.097 0.597 0.500
Er 0.267 0.767 0.500
Er 0.368 0.868 0.500
Er 0.632 0.132 0.500
Er 0.733 0.233 0.500
Er 0.903 0.403 0.500
Th 0.182 0.182 0.000
Th 0.455 0.455 0.000
Th 0.545 0.545 0.000
Th 0.818 0.818 0.000

Peak list (10 most intense, 5° ≤ 2θ ≤ 70°, in order of rising 2θ)
2θ (°), I_rel
27.12, 27
28.95, 18
30.62, 67
31.55, 100
31.93, 15
33.90, 36
36.50, 45
41.34, 18
55.00, 20
63.52, 26


# 2
# Nd3ErTh2
Calculated X-ray powder pattern, Cu Kα (λ = 1.5418 Å). Input: a cell relaxed with PBE.
Intensities are scaled so that the largest is 100.

Structural model:
Lattice parameters (Å, degrees): 5.110 15.266 5.142 90.00 90.00 90.00
Fractional positions:
Nd 0.000 0.000 0.000
Nd 0.000 0.169 0.500
Nd 0.000 0.831 0.500
Nd 0.500 0.331 0.500
Nd 0.500 0.500 0.000
Nd 0.500 0.669 0.500
Er 0.000 0.500 0.500
Er 0.500 0.000 0.500
Th 0.000 0.333 0.000
Th 0.000 0.667 0.000
Th 0.500 0.167 0.000
Th 0.500 0.833 0.000

Peak list (10 most intense, 5° ≤ 2θ ≤ 70°, in order of rising 2θ)
2θ (°), I_rel
30.27, 100
34.89, 17
35.13, 17
35.27, 17
50.35, 12
50.46, 12
59.73, 15
60.04, 15
60.24, 14
62.97, 13


# 3
# Nd3Er4Th
Calculated X-ray powder pattern, Cu Kα (λ = 1.5418 Å). Input: a cell relaxed with PBE.
Intensities are scaled so that the largest is 100.

Structural model:
Lattice parameters (Å, degrees): 11.559 7.238 6.276 90.00 90.00 90.00
Fractional positions:
Nd 0.000 0.122 0.000
Nd 0.247 0.124 0.335
Nd 0.253 0.876 0.835
Nd 0.500 0.878 0.500
Nd 0.747 0.876 0.835
Nd 0.753 0.124 0.335
Er 0.000 0.379 0.505
Er 0.000 0.626 0.008
Er 0.248 0.624 0.344
Er 0.252 0.376 0.844
Er 0.500 0.374 0.508
Er 0.500 0.621 0.005
Er 0.748 0.376 0.844
Er 0.752 0.624 0.344
Th 0.000 0.870 0.510
Th 0.500 0.130 0.010

Peak list (10 most intense, 5° ≤ 2θ ≤ 70°, in order of rising 2θ)
2θ (°), I_rel
28.46, 24
30.95, 25
32.48, 100
42.54, 16
50.40, 19
56.02, 21
60.33, 23
61.25, 16
64.49, 3
68.02, 4


Simulated X-ray powder pattern
Compound: Ni5PH
Radiation: Cu Kα (weighted mean of Kα1 and Kα2)
Structure: a crystal structure in Alexandria, relaxed with GGA-PBE
Kinematic intensities with the Lorentz-polarization factor, no thermal factor.

Peak list (6 most intense, 15 to 90 degrees two-theta, sorted by position)
38.14 deg, intensity 100.0
38.59 deg, intensity 50.1
45.35 deg, intensity 82.0
45.52 deg, intensity 78.7
47.12 deg, intensity 63.3
48.46 deg, intensity 44.9

Atomic structure:
```
Ni5PH
1.0
4.0658 -2.9831 0.0000
4.0658 2.9831 0.0000
-2.0642 0.0000 6.0131
Ni P H
10 2 2
Cartesian
2.5176 2.5367 4.5098 Ni
0.4782 0.7321 3.8599 Ni
3.2219 1.2481 0.2135 Ni
1.5103 -0.7321 0.8533 Ni
3.8776 1.2481 2.7930 Ni
2.1898 -1.2481 3.2201 Ni
4.5570 0.7321 5.1598 Ni
2.8455 -1.2481 5.7995 Ni
5.5891 -0.7321 2.1532 Ni
+++
So much for the crystal structures:

The matter of longevity is also important. Does one’s prospective mate comes from a long or a short lived family? If from a short lived family it is possible that the prospective mate may follow in the footsteps of his or her ancestors and die comparatively young. This of course does not always happen, especially if the cause for the short life of the parent or ancestor is know and can be prevented in the offspring. But, it is still an important factor and especially so to the young woman. Marrying a man who may be taken away in the prime of life or even earlier, perhaps before he has accumulated a sufficient fortune to take care of his family should he die, or where he perhaps cannot on account of a bad family history get an adequate amount of life insurance, is a serious matter to consider. Again he may leave a wife with a family of children which have to be reared and cared for which may prevent her from, if necessary, earning her own living.

Source: Clinton, Charles A. Sex Behavior in Marriage. New York: Pioneer Publications, 1940.
~ pp. 76-78 ~